# Contents
____________
(1)
Molecular formula: C26H76BrN3NbO12S9
Method: DFT, ωB97M-V/def2-TZVPD

```
128
Properties=species:S:1:pos:R:3:lowdin_charge:R:1
C -8.2774 -0.7166 1.6214 -0.08
C -8.0603 -1.3863 0.2579 -0.29
O -7.3931 -0.5069 -0.6030 -0.17
C -6.4116 -1.0866 -1.4425 -0.35
C -5.2992 -0.0705 -1.6917 -0.33
Nb -3.5154 -0.4669 -0.2681 1.56
O -4.7968 -0.7220 1.2856 -0.44
C -3.3479 1.8155 -0.0392 -0.35
C -2.8052 2.3031 1.2177 -0.93
O -1.6949 2.7834 1.3862 -0.07
Br -3.9524 2.1601 2.8129 0.62
C -1.6175 -0.8476 0.9360 -0.29
C -1.4549 -2.1645 1.7316 -0.76
N -2.1602 -2.0943 2.9830 0.08
N -0.0233 -2.3486 2.0787 0.06
N -1.8223 -3.3813 1.0055 0.05
H -7.8210 0.2533 1.6075 0.05
H -7.7906 -1.2790 2.4073 0.07
H -9.3306 -0.6153 1.8474 0.05
H -7.4951 -2.3019 0.4113 0.10
H -9.0344 -1.6645 -0.1460 0.10
H -6.8843 -1.3331 -2.3980 0.10
H -6.0044 -1.9962 -1.0145 0.05
H -5.6594 0.9358 -1.5267 0.02
H -4.9410 -0.1637 -2.7110 0.01
H -3.6671 -2.2144 -0.7586 -0.08
H -2.4122 -0.2973 -1.7158 -0.10
H -4.9748 -1.6651 1.3438 -0.02
H -4.3722 2.1653 -0.1278 0.03
H -2.8097 2.2397 -0.8741 0.04
H -1.3984 -0.0491 1.6451 0.04
H -0.7923 -0.8525 0.2313 -0.01
H -2.9582 -1.4795 2.9265 0.04
H -2.4164 -3.0210 3.2842 0.06
H 0.2229 -1.6480 2.7579 0.06
H 0.5410 -2.2389 1.2471 0.04
H -1.5524 -3.3082 0.0372 0.05
H -2.8258 -3.4527 1.0313 0.02
C 3.2700 -0.0383 -2.1865 -0.28
S 1.9923 -0.2926 -0.9436 0.79
O 1.1151 -1.4003 -1.4276 -0.57
C 1.1213 1.2456 -1.2384 -0.26
H 3.8976 -0.9253 -2.1945 0.02
H 2.8060 0.0994 -3.1649 0.06
H 3.8818 0.8310 -1.9415 0.02
H 0.8011 1.2972 -2.2789 0.06
H 1.7803 2.0747 -1.0074 0.02
H 0.2458 1.2761 -0.5890 0.04
C -9.9945 4.1352 3.0542 -0.27
S -9.4313 2.6403 3.8731 0.81
O -8.5227 1.9663 2.9193 -0.53
C -11.0099 1.7788 3.8027 -0.28
H -9.1329 4.7902 2.9518 0.04
H -10.3803 3.8900 2.0652 0.05
H -10.7591 4.6288 3.6556 0.05
H -11.3337 1.6964 2.7651 0.06
H -11.7470 2.3243 4.3928 0.05
H -10.8652 0.7859 4.2229 0.05
C 4.6265 4.5292 -3.8333 -0.29
S 4.2643 4.1560 -2.1173 0.84
O 3.6301 2.8054 -2.1014 -0.56
C 2.9382 5.3530 -1.9288 -0.26
H 5.4039 3.8507 -4.1705 0.04
H 3.7352 4.3847 -4.4370 0.04
H 4.9784 5.5575 -3.9151 0.06
H 2.1584 5.1493 -2.6624 0.06
H 3.3386 6.3578 -2.0631 0.05
H 2.5331 5.2512 -0.9242 0.05
C 4.2218 -3.0807 0.8322 -0.25
S 5.5918 -1.9252 0.8039 0.82
O 5.5039 -1.1785 -0.4877 -0.57
C 6.8770 -3.1531 0.6135 -0.26
H 3.3017 -2.5030 0.9083 0.04
H 4.2143 -3.6635 -0.0897 0.07
H 4.3295 -3.7333 1.6991 0.02
H 6.6922 -3.7492 -0.2819 0.06
H 6.8030 -3.7625 1.5110 -0.01
H 7.8434 -2.6591 0.5363 0.05
C 6.4628 4.5265 -8.5741 -0.27
S 4.7829 4.0517 -8.1466 0.82
O 4.6284 4.2793 -6.6862 -0.55
C 5.0200 2.2866 -8.3731 -0.27
H 6.5455 5.6041 -8.4530 0.05
H 7.1645 4.0248 -7.9079 0.06
H 6.6612 4.2582 -9.6116 0.05
H 5.8195 1.9388 -7.7192 0.06
H 5.2621 2.0855 -9.4165 0.05
H 4.0890 1.7896 -8.1110 0.05
C -8.0298 5.7186 -2.1175 -0.27
S -8.2402 5.1492 -0.4266 0.81
O -9.6969 5.2092 -0.1295 -0.56
C -7.4879 6.5883 0.3445 -0.27
H -8.4754 4.9754 -2.7743 0.05
H -8.5327 6.6774 -2.2468 0.05
H -6.9663 5.8097 -2.3365 0.05
H -8.0277 7.4880 0.0472 0.05
H -6.4420 6.6513 0.0456 0.05
H -7.5502 6.4592 1.4224 0.04
C 7.0000 -6.6487 4.6260 -0.26
S 6.7959 -5.9613 2.9793 0.81
O 5.5659 -5.1289 2.9728 -0.57
C 6.3726 -7.5115 2.1765 -0.25
H 7.2198 -5.8280 5.3052 0.05
H 6.0781 -7.1446 4.9299 0.06
H 7.8308 -7.3537 4.6202 0.05
H 5.4849 -7.9383 2.6462 0.05
H 7.2170 -8.1972 2.2501 0.05
H 6.1641 -7.2973 1.1308 0.05
C 9.4329 2.3327 1.4360 -0.28
S 7.9894 1.2958 1.1516 0.80
O 8.1182 0.1324 2.0664 -0.56
C 8.4551 0.7281 -0.4842 -0.27
H 9.3496 2.7516 2.4362 0.04
H 10.3380 1.7292 1.3625 0.05
H 9.4493 3.1381 0.7014 0.05
H 9.4240 0.2288 -0.4347 0.06
H 8.4955 1.5796 -1.1640 0.05
H 7.6852 0.0297 -0.8139 0.03
C 1.2983 -5.4673 2.1894 -0.27
S 2.4571 -6.3942 3.2013 0.78
O 2.3985 -7.8221 2.7607 -0.58
C 1.5016 -6.2769 4.7204 -0.27
H 1.6789 -5.4572 1.1705 0.05
H 0.3224 -5.9506 2.2113 0.06
H 1.2171 -4.4426 2.5532 0.03
H 0.5122 -6.7073 4.5651 0.06
H 1.4204 -5.2302 5.0118 0.06
H 2.0289 -6.8334 5.4929 0.04
```

E_HOMO ... -4.2 eV
Total charge ... -1
2S+1 ... 1
____________

# Brief
Print every line earlier on that contains the word "Nb".

# Outcome
Nb -3.5154 -0.4669 -0.2681 1.56